Jimmy Starr began his career in Hollywood in the 1920s, writing the intertitles for silent shorts for producers such as Mack Sennett, the Christie Film Company, and Educational Films Corporation, among others. He also toiled as a gossip and film columnist for the Los Angeles Record in the 1920s and from 1930-1962 for the L.A. Herald-Express.
Starr was also a published author. In the 1940s, he penned a trio of mystery novels, the best known of which, The Corpse Came C.O.D., was made into a movie.
In 1926, Starr authored 365 Nights in Hollywood, a collection of short stories about Hollywood. It was published in a limited edition of 1000, each one signed and numbered by the author, by the David Graham Fischer Corporation, which seems to have been a very small (possibly even a vanity) press.
Here’s “Cupid’s Corner” from that 1926 collection.
It might be called the Avenue of Affections, the Street of Secrets, the Boulevard of Beauty, the Road of Romance, the Lane of Lovers, the Path of Passion, the Walk of Wonders, or the Trail of the Tantalizing.
It might be called all of those, but it isn’t—ah, a better title: “Cupid’s Corner.”
There the little lad of love stands directing his traffic without a jam. The gears of human mesh perfectly under his skillful guidance. His clutch seldom slips. It’s different in this land of Love. Those who pass in the night feel the sting of his sharp arrow.
You wonder where this strange place is?
Only true lovers find it.
But this one, this weird avenue, street, or whatever it is, happens to be in Hollywood.
The extras talk of it, the prop men wonder about it, the stars (some of them) know all about it. Ingenues crave it. So do the flappers. And the debutantes—if any.
Those who talk a la bordelaise says it’s all a fake. Popin’ jays never believe in that sort of thing. Stenographers with shell-rimmed glasses turn deaf ears to talk of it.
Men over sixty have other thoughts.
Women up to ninety dream about it.
Shop girls are thrilled at the thought of it.
┌──
Compound: La5CdAg3
Source: the Alexandria database
Functional: GGA-PBE
Structure: relaxed

Cell: 9.263 9.263 7.309 Å, 90.00 90.00 120.00°
Sites, in units of the cell vectors:
La 0.000 0.294 0.250
La 0.000 0.706 0.750
La 0.294 0.000 0.250
La 0.294 0.294 0.750
La 0.333 0.667 0.000
La 0.333 0.667 0.500
La 0.667 0.333 0.000
La 0.667 0.333 0.500
La 0.706 0.000 0.750
La 0.706 0.706 0.250
Cd 0.000 0.000 0.000
Cd 0.000 0.000 0.500
Ag 0.000 0.372 0.750
Ag 0.000 0.628 0.250
Ag 0.372 0.000 0.750
Ag 0.372 0.372 0.250
Ag 0.628 0.000 0.250
Ag 0.628 0.628 0.750

Values from the calculation:
Formation energy from the elements   -126 kJ/mol of formula units
Calculated total energy   -3.93 eV/atom
└──
[The entry goes on]
Clerks and salesmen in off moments have visions of—it.
What is this mysterious thing?
Stories of its existence are true. Those who have visited “Cupid’s Corner” vouch for the assertion.
One little leading lady of the films, who recently married a famous cinema comedian, said:
“It’s a little side street—and dark, except for a yellow moon peeping through the drooping pepper trees. A beautiful silhouette. Awfully romantic. There is a tiny brook when runs under the dusty road. Its trickles are in rhythm with a violin softly playing—playing most anything. Love Tales, maybe.
“There is a cute little white bungalow something like a miniature of George Washington’s Mount Vernon home. A single light over the wrought iron gate. The moon through the long windows in front expose two heads above the comfy divan. One is black and shiny. The other is blonde and bobbed, with curly ringlets.”
Another lady spoke. This time a star. She just returned from Europe, where she made a famous story produced by an American company.
She is of the vampire or siren type. Her lips, which fairly drip with redness, illuminate danger for those who touch.
She, too, had heard the snap of Cupid’s Bow.
“The stucco abode across the road is perfectly darling! It is painted green. A rose vine with pink buds climbs at the corner. Moss between the house and stucco fence instead of grass. A wee patio with bubbling fountain. Honeysuckle along the side. French windows with hand painted drapes. A lighted floor lamp. A young man stretched out full length on the floor reading aloud. A pretty girl listening on the chaise lounge. A baby coos in its crib by her side. My idea—“
Footsteps along the dusty road. Two pairs of them. Softly . . .
The moon turns on a little more power. The stars twinkle roguishly. A faint perfume of flowers. Whispers. A soft breeze. A rustle of the leaves.
Leather treaded on the wooden bridge. The padded pat of shoes in the dust again. A slight incline. A rustic bench of small limbs between the larger V-shaped limbs of a tree.
A girl with blue eyes that sparkle, in organdie. A boy in grey flannels with dark coat and tanned face. Whispers. Lips that tingle—that thrill. Pressed as one.
Silence lingers in the warm breeze.
Whispers. A caught breath. A nodded fluffy head. A muffled exclamation. Hugged bodies. A smile that speaks victory. A hurried search of coat pockets.
A bit of circled platinum. With stone that sparkles like blue eyes. A tiny gasp. The circle on a white finger.
Slow steps in the dust. Darkness. A cool wind. A moving hug. A sudden stop. Lips that tingle—that thrill. Whispers. The gay trickles under the wood bridge.
The moon sighs. The stars laugh with a flicker. The trees move with sadness. Left alone. The flowers sing in redolence.
Materials data, kept here for reference.
-- begin --
# PBE-GGA SrMo4, relaxed
data_SrMo4
_symmetry_space_group_name_H-M 'I m -3 m'
_symmetry_Int_Tables_number 229
_symmetry_space_group_name_Hall '-I 4 2 3'
_cell_length_a 5.959
_cell_length_b 5.959
_cell_length_c 5.959
_cell_angle_alpha 90.00
_cell_angle_beta 90.00
_cell_angle_gamma 90.00
loop_
_atom_site_label
_atom_site_fract_x
_atom_site_fract_y
_atom_site_fract_z
_atom_site_occupancy
Sr1 0.000 0.000 0.000 1
Mo1 0.250 0.250 0.250 1
# **DOS at the Fermi energy**: 1.891 states/eV/atom
# **Calculated total energy**: -30.8 eV/f.u.

***

# PBE-GGA Ce7SeCl12, relaxed
data_Ce7SeCl12
_symmetry_space_group_name_H-M 'R -3'
_symmetry_Int_Tables_number 148
_symmetry_space_group_name_Hall '-R 3'
_cell_length_a 14.7320
_cell_length_b 14.7320
_cell_length_c 9.6909
_cell_angle_alpha 90.00
_cell_angle_beta 90.00
_cell_angle_gamma 120.00
loop_
_atom_site_label
_atom_site_fract_x
_atom_site_fract_y
_atom_site_fract_z
_atom_site_occupancy
Ce1 0.0000 0.0000 0.0000 1
Ce2 0.0440 0.8719 0.3317 1
Se1 0.0000 0.0000 0.5000 1
Cl1 0.0275 0.4419 0.1628 1
Cl2 0.0463 0.8656 0.8399 1
# **DOS at the Fermi energy**: 2.229 states/eV/atom
# **Uncorrected formation energy**: -1947 meV/atom
# **Calculated total energy**: -106.1 eV/f.u.

***

# PBE-GGA DyPd, relaxed
data_DyPd
_symmetry_space_group_name_H-M 'P m -3 m'
_symmetry_Int_Tables_number 221
_symmetry_space_group_name_Hall '-P 4 2 3'
_cell_length_a 3.512
_cell_length_b 3.512
_cell_length_c 3.512
_cell_angle_alpha 90.00
_cell_angle_beta 90.00
_cell_angle_gamma 90.00
loop_
_atom_site_label
_atom_site_fract_x
_atom_site_fract_y
_atom_site_fract_z
_atom_site_occupancy
Dy1 0.000 0.000 0.000 1
Pd1 0.500 0.500 0.500 1
# **DOS at the Fermi energy**: 1.034 states/eV/atom
# **Calculated total energy**: -11.5 eV/f.u.

***

# PBE-GGA Be3FeCo2, relaxed
data_Be3FeCo2
_symmetry_space_group_name_H-M 'P 4/m m m'
_symmetry_Int_Tables_number 123
_symmetry_space_group_name_Hall '-P 4 2'
_cell_length_a 2.601
_cell_length_b 2.601
_cell_length_c 7.912
_cell_angle_alpha 90.00
_cell_angle_beta 90.00
_cell_angle_gamma 90.00
loop_
_atom_site_label
_atom_site_fract_x
_atom_site_fract_y
_atom_site_fract_z
_atom_site_occupancy
Be1 0.000 0.000 0.000 1
Be2 0.000 0.000 0.317 1
Fe1 0.500 0.500 0.500 1
Co1 0.500 0.500 0.164 1
# **DOS at the Fermi energy**: 0.904 states/eV/atom
# **Calculated total energy**: -35.5 eV/f.u.

***

# PBE-GGA ZnCoOs3, relaxed
data_ZnCoOs3
_symmetry_space_group_name_H-M 'P m -3 m'
_symmetry_Int_Tables_number 221
_symmetry_space_group_name_Hall '-P 4 2 3'
_cell_length_a 4.410
_cell_length_b 4.410
_cell_length_c 4.410
_cell_angle_alpha 90.00
_cell_angle_beta 90.00
_cell_angle_gamma 90.00
loop_
_atom_site_label
_atom_site_fract_x
_atom_site_fract_y
_atom_site_fract_z
_atom_site_occupancy
Zn1 0.000 0.000 0.000 1
Co1 0.500 0.500 0.500 1
Os1 0.000 0.500 0.500 1
# **DOS at the Fermi energy**: 1.543 states/eV/atom
# **Calculated total energy**: -32.8 eV/f.u.

***

# PBE-GGA Pm5Ho6Pu, relaxed
data_Pm5Ho6Pu
-- stop --
A few hours later. All is gone. There is noise. The baby cries. A young man makes a hurried dash for a departing street car. The sputtering sound of a cold motor. The aroma of steaming coffee; of eggs. A rattle of milk bottles.
A hasty grab for the morning papers. Another dry raid. The comic section with coffee.
At noon the news spreads.
“Did you see the ring?”
“Isn’t it wonderful?”
“I always thought they would be married.”
“Well, they are a marvelous pair.”
The page is interrupted by records of crystals:
~~~
Density functional theory data (PBE) for a geometry-optimized ZnCdPb2 structure.

Calculated values
E above lowest polymorph ... 0 meV/atom
Electronic total energy ... -0.171 Ry/atom
Symmetry ... P4mm, No. 99
Formation energy ... 78 meV/atom

Lattice parameters (Å, degrees): 3.5916 3.5948 8.0199 90.00 90.00 90.00
Fractional coordinates of all 4 atoms:
Pb 0.0000 0.0000 0.9626
Pb 0.5000 0.5000 0.3003
Zn 0.0000 0.0000 0.5260
Cd 0.5000 0.5000 0.7110

Density functional theory data (PBE) for a geometry-optimized Tb6SmY structure.

Calculated values
E above lowest polymorph ... 6 meV/atom
Electronic total energy ... -0.357 Ry/atom
Symmetry ... P4/mmm, No. 123
Formation energy ... 20 meV/atom

Lattice parameters (Å, degrees): 5.0544 5.0544 10.0937 90.00 90.00 90.00
Fractional coordinates of all 8 atoms:
Tb 0.5000 0.5000 0.0000
Tb 0.5000 0.5000 0.5000
Tb 0.5000 0.0000 0.2504
Tb 0.5000 0.0000 0.7496
Tb 0.0000 0.5000 0.2504
Tb 0.0000 0.5000 0.7496
Sm 0.0000 0.0000 0.0000
Y 0.0000 0.0000 0.5000

Density functional theory data (PBE) for a geometry-optimized HfMnRu2Br structure.

Calculated values
Electronic total energy ... -0.508 Ry/atom
Symmetry ... P4/mmm, No. 123
Raw formation energy ... 0.95 eV/atom

Lattice parameters (Å, degrees): 4.4405 4.9322 4.4405 90.00 90.00 90.00
Fractional coordinates of all 5 atoms:
Ru 0.0000 0.0000 0.5000
Ru 0.5000 0.0000 0.0000
Mn 0.0000 0.0000 0.0000
Hf 0.0000 0.5000 0.0000
Br 0.5000 0.5000 0.5000

Density functional theory data (PBE) for a geometry-optimized Sr5Tl4Hg2 structure.

Calculated values
Electronic total energy ... -0.154 Ry/atom
Symmetry ... Pbam, No. 55
Formation energy ... -420 meV/atom

Lattice parameters (Å, degrees): 4.1177 8.9973 19.8394 90.00 90.00 90.00
Fractional coordinates of all 22 atoms:
Sr 0.0000 0.5000 0.0000
Sr 0.0000 0.0000 0.5000
Sr 0.0000 0.2838 0.2025
Sr 0.0000 0.7162 0.7975
Sr 0.0000 0.7838 0.2975
Sr 0.0000 0.2162 0.7025
Sr 0.0000 0.3871 0.4176
Sr 0.0000 0.6129 0.5824
Sr 0.0000 0.8871 0.0824
Sr 0.0000 0.1129 0.9176
Tl 0.5000 0.2935 0.5599
Tl 0.5000 0.7065 0.4401
Tl 0.5000 0.7935 0.9401
Tl 0.5000 0.2065 0.0599
Tl 0.5000 0.4001 0.8532
Tl 0.5000 0.5999 0.1468
Tl 0.5000 0.9001 0.6468
Tl 0.5000 0.0999 0.3532
Hg 0.5000 0.4868 0.2975
Hg 0.5000 0.5132 0.7025
Hg 0.5000 0.9868 0.2025
Hg 0.5000 0.0132 0.7975

Density functional theory data (PBE) for a geometry-optimized Na3Tm2TiS6 structure.

Calculated values
Electronic total energy ... -0.400 Ry/atom
Symmetry ... C2/m, No. 12
Raw formation energy ... -1.65 eV/atom

Lattice parameters (Å, degrees): 6.6289 6.6289 7.0251 99.05 99.05 120.00
Fractional coordinates of all 12 atoms:
Na 0.1685 0.8315 0.5000
Na 0.8315 0.1685 0.5000
Na 0.5000 0.5000 0.5000
Tm 0.3329 0.6671 0.0000
Tm 0.6671 0.3329 0.0000
Ti 0.0000 0.0000 0.0000
S 0.9262 0.6095 0.7798
S 0.7576 0.7576 0.2175
S 0.0738 0.3905 0.2202
S 0.6095 0.9262 0.7798
S 0.2424 0.2424 0.7825
S 0.3905 0.0738 0.2202

Density functional theory data (PBE) for a geometry-optimized ErMg2Tl2Ag2 structure.
~~~
Amid the rush of hurrying workers, those in the profession stand on the corners talking. Some in the middle of the sidewalk reading a printed article in the late afternoon paper.
They read:
“— — —, well known motion picture actress, has announced her engagement to — — —, who has earned a reputation as a player of juvenile roles for the — — — Pictures Corporation.
“And etc.”
Now you see what happens to those who find—
“Cupid’s Corner.”